........
Calculated X-ray diffraction stick pattern of Np3P4Pd7 for Cu Kα X-rays, from the GGA-PBE geometry in Alexandria.
Intensities are scaled so that the largest is 1000.

Atomic structure:
a = 15.3365 Å, b = 3.9488 Å, c = 9.5728 Å
α = 90.00°, β = 124.91°, γ = 90.00°
Space group C2/m (No. 12)
One atom of each set of equivalent atoms:
Np: 0.0000 0.0000 0.0000 x2
Np: 0.1866 0.5000 0.6851 x4
P: 0.1053 0.0000 0.8181 x4
P: 0.1537 0.5000 0.2389 x4
Pd: 0.0000 0.0000 0.5000 x2
Pd: 0.0129 0.5000 0.2942 x4
Pd: 0.1677 0.0000 0.4283 x4
Pd: 0.1875 0.5000 0.0147 x4

The 12 most intense peaks (2θ from 10° to 80°), most intense first:
d (Å)  I/Imax  (hkl)
2.415  1000  5 1 -2
2.511  929  1 1 2
1.974  430  0 2 0
2.479  393  3 1 -3
2.388  359  4 0 -4
3.649  348  1 1 -1
2.874  334  3 1 0
2.096  323  6 0 0
2.617  254  0 0 3
1.521  245  4 2 -4
2.268  238  5 1 -3
2.462  219  6 0 -3

----------

The following is a computed XRD peak list of NaZnMoHO5. It was derived from the GGA+U geometry in the Materials Project, using copper Kα.
Lines closer than 0.1° are merged.

Most intense lines, 10 to 80 degrees two-theta, in order of rising 2θ:
Position (°2θ)  d/Å  Rel. int.  h k l
17.02  5.210  838  0 1 1
20.38  4.358  305  1 1 1
21.97  4.045  306  1 0 2
24.31  3.661  513  2 0 1
26.23  3.398  546  1 1 2
26.56  3.356  865  2 1 0
30.67  2.915  829  1 0 3
32.18  2.782  1000  1 2 1
32.79  2.731  368  2 1 2
33.93  2.642  457  1 1 3
47.21  1.925  309  3 1 3
53.98  1.699  766  3 2 3

Crystal structure
Cell lengths 7.9502, 6.2598, 9.3984 Å; angles 90.00, 90.00, 90.00 degrees
Positions (direct):
Na  0.1480  0.2500  0.1937
Na  0.3520  0.7500  0.6937
Na  0.6480  0.2500  0.3063
Na  0.8520  0.7500  0.8063
Zn  0.0000  0.0000  0.5000
Zn  0.0000  0.5000  0.5000
Zn  0.5000  0.0000  0.0000
Zn  0.5000  0.5000  0.0000
Mo  0.1173  0.2500  0.8356
Mo  0.3827  0.7500  0.3356
........

Your job: find "One atom" and "929" in the listing further above, and return these two lines and those between.

One atom of each set of equivalent atoms:
Np: 0.0000 0.0000 0.0000 x2
Np: 0.1866 0.5000 0.6851 x4
P: 0.1053 0.0000 0.8181 x4
P: 0.1537 0.5000 0.2389 x4
Pd: 0.0000 0.0000 0.5000 x2
Pd: 0.0129 0.5000 0.2942 x4
Pd: 0.1677 0.0000 0.4283 x4
Pd: 0.1875 0.5000 0.0147 x4

The 12 most intense peaks (2θ from 10° to 80°), most intense first:
d (Å)  I/Imax  (hkl)
2.415  1000  5 1 -2
2.511  929  1 1 2